Tax hike hurts

Tax hike hurts

LETTER: Vernon hike will hurts residents

Here the page breaks off for data records:
'''
Density functional theory data (GGA-PBE) for KHf2Pt2 after structural relaxation.

Its formation enthalpy at 0 K is -46.5 kJ/mol of atoms. The value obtained for the energy above the most stable polymorph in this dataset is 82 meV/atom.

```
KHf2Pt2
1.0
8.442 0.000 0.000
0.000 8.442 0.000
0.000 0.000 2.922
K Hf Pt
2 4 4
Direct
0.000 0.000 0.000
0.500 0.500 0.000
0.138 0.362 0.000
0.362 0.862 0.000
0.638 0.138 0.000
0.862 0.638 0.000
0.154 0.654 0.500
0.346 0.154 0.500
0.654 0.846 0.500
0.846 0.346 0.500
```

* * * * *

Record 1
# PBE BaTeRhI2, optimized geometry
# Energy relative to the lowest polymorph listed for this composition: 1154 meV per atom
data_BaTeRhI2
_symmetry_space_group_name_H-M 'P 4/m m m'
_symmetry_Int_Tables_number 123
_symmetry_space_group_name_Hall '-P 4 2'
_cell_length_a 6.641
_cell_length_b 6.641
_cell_length_c 6.808
_cell_angle_alpha 90.00
_cell_angle_beta 90.00
_cell_angle_gamma 90.00
loop_
_atom_site_label
_atom_site_fract_x
_atom_site_fract_y
_atom_site_fract_z
_atom_site_occupancy
Ba1 0.000 0.000 0.000 1
Te1 0.000 0.000 0.500 1
Rh1 0.500 0.500 0.500 1
I1 0.000 0.500 0.000 1

Record 2
# PBE NaTiCl2, optimized geometry
# Energy relative to the lowest polymorph listed for this composition: 38 meV per atom
data_NaTiCl2
_symmetry_space_group_name_H-M 'R -3 m'
_symmetry_Int_Tables_number 166
_symmetry_space_group_name_Hall '-R 3 2"'
_cell_length_a 3.6033
_cell_length_b 3.6033
_cell_length_c 24.6551
_cell_angle_alpha 90.00
_cell_angle_beta 90.00
_cell_angle_gamma 120.00
loop_
_atom_site_label
_atom_site_fract_x
_atom_site_fract_y
_atom_site_fract_z
_atom_site_occupancy
Na1 0.0000 0.0000 0.0000 1
Ti1 0.0000 0.0000 0.5000 1
Cl1 0.0000 0.0000 0.4038 1

Record 3
Entry from the Alexandria database: a relaxed LiPm2NpN4 crystal (PBE).

Geometry as CIF:
```
data_LiPm2NpN4
_symmetry_space_group_name_H-M 'F m m 2'
_symmetry_Int_Tables_number 42
_symmetry_space_group_name_Hall 'F 2 -2'
_cell_length_a 6.765
_cell_length_b 10.409
_cell_length_c 6.766
_cell_angle_alpha 90.00
_cell_angle_beta 90.00
_cell_angle_gamma 90.00
loop_
_atom_site_label
_atom_site_fract_x
_atom_site_fract_y
_atom_site_fract_z
_atom_site_occupancy
Li1 0.000 0.000 0.000 1
Pm1 0.250 0.250 0.249 1
Np1 0.000 0.000 0.499 1
N1 0.000 0.200 0.499 1
N2 0.250 0.000 0.249 1
```

Record 4
# PBE Cd2Hg2I, optimized geometry
# Energy relative to the lowest polymorph listed for this composition: 17 meV per atom
data_Cd2Hg2I
_symmetry_space_group_name_H-M 'I 4/m m m'
_symmetry_Int_Tables_number 139
_symmetry_space_group_name_Hall '-I 4 2'
_cell_length_a 5.000
_cell_length_b 5.000
_cell_length_c 12.293
_cell_angle_alpha 90.00
_cell_angle_beta 90.00
_cell_angle_gamma 90.00
loop_
_atom_site_label
_atom_site_fract_x
_atom_site_fract_y
_atom_site_fract_z
_atom_site_occupancy
Cd1 0.000 0.500 0.250 1
Hg1 0.000 0.000 0.115 1
I1 0.000 0.000 0.500 1
'''

I read in The Morning Star on Nov. 17 that the city manager, Will Pearce, is recommending, an annual budget increase of 6.8 per cent. I think this is a dreadful idea in that it will affect a number of city residents in an unfair manner.

As a third level of government municipalities are not allowed deficits and so must budget in a different way, than provincial/federal governments. Simplistically put, staff figure out what they need (want) to spend, and come up with a number that they advance to council. If council wishes they can pass, amend or reject the proposed budget.

The problem with this model is that council is open to lobbying by staff, powerful unions and federal agencies (RCMP). They frequently succumb to pressure for spending increases.

Inflation in B.C. is running at around 1.6 percent, a rate hike of 6.8 per cent would then translate into an increase of 5.2 per cent above the current cost of living. Given the fact that much of this proposed rate increase is to fund six additional RCMP positions, at approximately $172,000 each, this will not be a one time charge. The budget without the RCMP positions would still run about two per cent above the current cost of living. Over a 10-year period of time this would represent a real loss of over 20 per cent. For some residents this would be unsustainable.

Vernon derives its revenue both from property taxes, and other sources, in close to equal portions. The city, in the main, has direct control only over property taxes so the homeowner or renter will have to foot the entire bill. Those over 55 who have retired are entitled to defer their property taxes at very low rates of interest, until they sell, thus this is a tax that will not materially affect older homeowners in the here and now. It will however affect younger homeowners as well as all renters. Rents reflect housing values and can only rise. Vernon, is number 10 on B.C.’s un-affordability index.

Those homeowners under 55 are usually in the throes of raising a family and need every penny they can get. Renters are those who have little to start with (single mums, students, low wage earners) or retired people on fixed income. Not all pensioners get CPP, and many don’t collect OAP until they are 65, defined benefit pension plans are a rarity. Over the long term many of these people will fall off the “conveyer belt” of accommodation and become the new homeless! For others it will mean a hard choice between heat, and food, or prescription drugs.

As a taxpayer I would be more sympathetic to Mr. Pearce’s submissions if I could get satisfactory answers to the following questions

If the provincial government builds and maintains highways why do they not police them? Why is this cost borne by the North Okanagan?

Why do both Coldstream and BX Swan Lake have volunteer fire departments when they are just as urban a most of Vernon? Why don’t we have volunteer halls, at least for the Landing, and Predator Ridge?

Do we pay the same amount for policing and fire service as other municipalities, or more?

How many police do we have and are they all “effective”- not on maternity, or sick leave.

We cant just keep on spending beyond our means. We have to start thinking of alternative methods in all things we do. Perhaps we need more bylaw officers, auxiliary community police, and volunteer fire halls. Maybe more responsibility for arena’s and specific recreational facilities should be funded by the users themselves. We can’t go on this way any longer it is inequitable and unsustainable.

William Dunsmore


Vernon Morning Star